## Given
********
Simulated X-ray diffraction stick pattern of KMnTe2 for CuKα, from DFT lattice parameters and positions (GGA-PBE).

Atomic structure:
Unit cell a=4.3420 b=4.3420 c=14.2899 alpha=90.00 beta=90.00 gamma=90.00
Positions (direct):
1 K 0.0000 0.0000 0.0000
2 K 0.5000 0.5000 0.5000
3 Mn 0.0000 0.5000 0.2500
4 Mn 0.5000 0.0000 0.7500
5 Te 0.0000 0.0000 0.3554
6 Te 0.0000 0.0000 0.6446
7 Te 0.5000 0.5000 0.1446
8 Te 0.5000 0.5000 0.8554

Top 6 peaks for 2θ = 15–90°, low angle first:
d [Å]  I_rel
4.154  39
3.209  100
3.070  32
2.328  30
2.171  26
1.798  36
********

## Job
Set down only the last part of the rows earlier on, starting with the line that has "I_rel".

## Done
d [Å]  I_rel
4.154  39
3.209  100
3.070  32
2.328  30
2.171  26
1.798  36